Kennedys and King is the successor site to CTKA (formerly
CTKA (Sit-kah) was an activist group lobbying for full disclosure of all records relating to the assassination of President John F. Kennedy.
In 1993, in response to public outcry created by Oliver Stone's film JFK, Congress passed the JFK Act, a law requiring federal agencies to release all the remaining withheld evidence relating to the assassination of President John Fitzgerald Kennedy. While some pretend the case is closed, the case can never be closed so long as the documents pertaining to the assassination and the investigations that followed remain locked away from public scrutiny.
Attached: calculated molecules:
- - -
*1*
22
Properties=species:S:1:pos:R:3 method="wB97M-V/def2-TZVPD" homo_ev=-12.1 lumo_ev=-7.37 orbital_gap_ev=4.7 charge=+1
C -0.1609 -0.5834 -0.1366
O -1.3161 0.3024 -0.0016
C 0.1251 -1.2886 1.1641
C 1.3610 -2.0744 1.0501
C 1.6506 -3.0888 2.0829
S -0.7491 2.3079 -2.3679
C -1.7589 3.7565 -2.7396
N 0.4902 0.0064 2.0880
H 0.6562 0.1231 -0.4694
H -0.3509 -1.2420 -1.0210
H -1.4503 0.6242 -0.9075
H -0.7657 -1.5885 1.7201
H 1.6775 -4.1680 1.8852
H 2.0251 -1.4419 0.4603
H 0.9713 -2.9145 2.9227
H 2.6195 -2.8180 2.5656
H -1.2573 4.6416 -2.3198
H -1.5624 4.0173 -3.7844
H -2.8146 3.6946 -2.4266
H 1.0426 0.7353 1.5185
H -1.7522 1.5198 -3.7457
H 1.3193 -0.5209 2.4623

*2*
22
Properties=species:S:1:pos:R:3 method="wB97M-V/def2-TZVPD" homo_ev=-13.0 lumo_ev=-3.51 orbital_gap_ev=9.5 charge=+1
C -0.6374 -0.1931 -2.8437
C 0.3127 0.1646 -1.6933
S 0.2240 1.8688 -0.9849
C -1.4397 1.8896 -0.2495
H -0.6169 -1.2771 -2.9842
H -0.3582 0.4140 -3.7374
H -1.7041 0.0972 -2.6367
H 1.3787 0.0219 -1.9859
H 0.0549 -0.4384 -0.8153
H -1.8864 0.8890 -0.2891
H -1.3341 2.2055 0.8021
H -2.0813 2.6322 -0.7017
O 1.5568 -0.9665 3.5788
C 1.6888 -1.5864 2.5650
C 0.8413 -1.2686 1.3593
N 0.1334 0.0649 1.5857
H 2.4113 -2.4503 2.4920
H 1.4774 -1.0381 0.5214
H 0.0853 -2.0232 1.1566
H -0.8627 -0.0480 1.4368
H 0.3104 0.3336 2.5628
H 0.4457 0.7083 0.8611

Most favorable first, least favorable last: *2*, *1*


{
  "formula": "C23H40Cl4N3O2",
  "method": "ωB97M-V/def2-TZVPD",
  "symbols": ["C", "C", "C", "Cl", "C", "O", "C", "C", "C", "Cl", "C", "C", "N", "C", "C", "C", "C", "N", "C", "C", "O", "C", "C", "Cl", "C", "C", "Cl", "H", "H", "H", "H", "H", "H", "H", "H", "H", "H", "H", "H", "H", "H", "H", "H", "H", "H", "H", "H", "H", "H", "H", "H", "H", "H", "H", "H", "H", "H", "H", "H", "H", "C", "C", "C", "C", "N", "H", "H", "H", "H", "H", "H", "H"],
- - -
Citizens for Truth about the Kennedy Assassination was organized as a result of the April 1993 Chicago Midwest Symposium on Assassinations. At the end of that conference, it was generally decided that the time had come to create a political action group, which would urge the executive branch of our government to re-open the unsolved assassinations of the 1960s-i.e., the murders of President John F. Kennedy, Senator Robert F. Kennedy, and Dr. Martin Luther King. CTKA endeavored to ensure that the Review Board fulfilled its mandate to release all the remaining records pertaining to the JFK assassination; to amend the current Freedom of Information Act to render future covert actions more difficult to hide; and to urge the American people to discover the truth about their history.
CTKA formerly published Probe Magazine (1993-2000), and featured on its web site many of the articles which first appeared there, along with a continuous stream of new articles and reviews by numerous contributors.
Kennedys and King seeks to continue this mission of presenting the best in research concerning the political assassinations of the 1960s and their historical context.
Read further Jim DiEugenio's welcoming remarks below.
James DiEugenio
Founder; principal editor and contributorHe is also the co-author and editor of The Assassinations: Probe Magazine on JFK, MLK, RFK and Malcolm X. He co-edited Probe Magazine from 1993-2000 and was a guest commentator on the anniversary issue of the film JFK re-released by Warner Brothers in 2013.
Jim, who has an MA in Contemporary American History from California State University Northridge, is also a specialist in the history and theory of cinema, and has written numerous film reviews; he is a frequent contributor at Robert Parry's Consortium News. He has appeared as guest on numerous talk shows, and is a regular on Len Osanic's BlackOp Radio.
Jim has recently retired from thirty years as a professional educator.
Unsolicited Comments from Probe's Readers ...
“Your special Probe on Nixon is terrific. … you have made a landmark contribution to the literature. I hesitate to single anything out because it was all so damn good. … My hat’s off to both of you.”
~Ray Marcus, Author of Author of The Bastard Bullet